Original article (in Serbian) was published on 09/01/2023
Records of crystals, kept here for reference:
┌──
Calculated powder diffractogram of Ba2InCo2O6 for λ = 1.5418 Å (Cu Kα), from DFT lattice parameters and positions (GGA+U).
Intensities are scaled so that the largest is 100.

Most intense lines, 2θ from 10° to 90°, by angle:
27.48°, I = 40, (1 0 4); 29.70°, I = 100, (1 1 0); 31.96°, I = 52, (0 1 5); 40.91°, I = 30, (0 2 4); 44.20°, I = 22, (2 0 5); 51.36°, I = 15, (2 1 4); 52.72°, I = 20, (3 0 0); 54.16°, I = 24, (1 2 5); 58.72°, I = 29, (1 1 9); 61.68°, I = 18, (2 2 0)

```
data_Ba2InCo2O6
_chemical_formula_sum 'Ba6 In3 Co6 O18'
_cell_length_a 6.0151
_cell_length_b 6.0151
_cell_length_c 16.6015
_cell_angle_alpha 90.00
_cell_angle_beta 90.00
_cell_angle_gamma 120.00
_symmetry_space_group_name_H-M 'R -3 m'
_symmetry_Int_Tables_number 166
_symmetry_space_group_name_Hall '-R 3 2"'
loop_
_atom_site_label
_atom_site_fract_x
_atom_site_fract_y
_atom_site_fract_z
Ba1 0.0000 0.0000 0.2222
In1 0.0000 0.0000 0.0000
Co1 0.0000 0.0000 0.4338
O1 0.0119 0.5059 0.7514
```

----------

Record 1
CsAuBrF2: calculated X-ray powder pattern (Cu Kα X-rays), based on DFT lattice parameters and positions (GGA-PBE).

Peak list (12 most intense, 2θ from 10° to 80°, low angle first)
2theta	d (Å)	I/Imax
17.96	4.940	37.2
24.41	3.647	100.0
25.50	3.493	99.6
33.14	2.703	33.5
36.38	2.470	53.3
42.27	2.138	47.7
44.29	2.045	38.0
50.02	1.823	38.8
52.39	1.746	17.5
59.15	1.562	21.9
63.41	1.467	18.0
69.50	1.352	27.9

Crystal structure
Cell: 6.9858 6.9858 10.8138 Å, 90.00 90.00 90.00°
Space group I4/mmm (No. 139)
Unique sites:
1 Cs 0.0000 0.5000 0.2500
2 Au 0.0000 0.0000 0.0000
3 Au 0.0000 0.0000 0.5000
4 Br 0.0000 0.0000 0.2226
5 F 0.2016 0.2016 0.5000


Record 2
Tb2GdSn6Pb: calculated X-ray powder pattern (Cu Kα X-rays), based on DFT lattice parameters and positions (GGA-PBE).

Peak list (12 most intense, 2θ from 10° to 80°, low angle first)
2theta	d (Å)	I/Imax
22.19	4.005	2.1
32.80	2.731	100.0
35.03	2.561	18.2
39.22	2.297	16.3
39.75	2.268	15.7
53.59	1.710	11.0
54.00	1.698	12.2
57.07	1.614	11.1
61.43	1.509	11.7
67.04	1.396	13.2
67.77	1.383	13.0
68.75	1.365	12.1

Crystal structure
Cell: 4.5353 25.6141 4.5939 Å, 90.00 90.00 90.00°
Space group Cmmm (No. 65)
Unique sites:
1 Tb 0.0000 0.1880 0.0000
2 Gd 0.0000 0.0000 0.0000
3 Sn 0.0000 0.0986 0.5000
4 Sn 0.0000 0.2906 0.5000
5 Sn 0.0000 0.4023 0.0000
6 Pb 0.0000 0.5000 0.5000


Record 3
ZnNi6Sb: calculated X-ray powder pattern (Cu Kα X-rays), based on DFT lattice parameters and positions (GGA-PBE).

Peak list (12 most intense, 2θ from 10° to 80°, low angle first)
2theta	d (Å)	I/Imax
19.75	4.495	3.3
21.33	4.165	1.2
29.23	3.055	6.5
34.56	2.595	1.8
40.12	2.248	25.4
40.98	2.203	1.3
43.46	2.082	26.3
45.88	1.978	100.0
53.97	1.699	1.4
60.62	1.528	14.1
71.69	1.316	1.2
72.90	1.298	15.1

Crystal structure
Cell: 5.1904 5.1904 4.1648 Å, 90.00 90.00 120.00°
Space group P-6m2 (No. 187)
Unique sites:
1 Zn 0.0000 0.0000 0.0000
2 Ni 0.3363 0.1681 0.5000
3 Ni 0.5071 0.0142 0.0000
4 Sb 0.3333 0.6667 0.5000


Record 4
└──
Web portal Balkan press recently published an article entitled “In Ireland, there is a ‘Serbian Gospel’ written at the end of the 5th century – in Serbian!”, with the claim that these “four Gospels” are kept in the National Museum of Ireland in Dublin. We decided to check in the mentioned museum this allegation, already absurd because of the time frame and see if there is at least something similar from a later period. The museum replied that such or a similar artefact does not exist in their collection.
Web portals Nacionalist, Glas javnosti, as well as Facebook pages Ovo je Srbija and Srbska skrivena istorija wrote about the preservation of this manuscript in Ireland, which “confirms that Miroslav’s Gospel is NOT the first Serbian Gospel”.
Where does the image of the supposed gospel come from?
Along with their texts, the mentioned media also published a photo of an open book on the pages of which “srbica” is allegedly written. However, that picture does not depict the gospel. It originates from the video of the National Television (the logo of this media can be seen or glimpsed in the published photos) entitled “Vinca script” from 2017.
Someone pasted materials data at this point:
┌──
For LiV5B2O10, DFT lattice parameters and positions (GGA+U) gives the computed powder XRD pattern in this record (Cu Kα, 1.54184 Å).

```
data_LiV5B2O10
_chemical_formula_sum 'Li2 V10 B4 O20'
_cell_length_a 9.6093
_cell_length_b 12.6037
_cell_length_c 3.0118
_cell_angle_alpha 90.00
_cell_angle_beta 90.00
_cell_angle_gamma 90.00
_space_group_name_H-M_alt 'P b a m'
_space_group_IT_number 55
loop_
_space_group_symop_operation_xyz
'x,y,z'
'-x,-y,-z'
'-x,-y,z'
'x,y,-z'
'x+1/2,-y+1/2,-z'
'-x+1/2,y+1/2,z'
'-x+1/2,y+1/2,-z'
'x+1/2,-y+1/2,z'
loop_
_atom_site_label
_atom_site_fract_x
_atom_site_fract_y
_atom_site_fract_z
Li1 0.0000 0.0000 0.0000
V1 0.0000 0.5000 0.5000
V2 0.0103 0.2157 0.5000
V3 0.2478 0.8895 0.0000
B1 0.2197 0.6425 0.0000
O1 0.1144 0.9198 0.5000
O2 0.1156 0.3599 0.5000
O3 0.1375 0.1461 0.0000
O4 0.1414 0.7360 0.0000
O5 0.1504 0.5446 0.0000
```

Peak list (10 most intense, 2θ = 10–90°, low angle first)
| 2theta | intensity | (hkl) |
| --- | --- | --- |
| 16.8 | 40 | 1 2 0 |
| 23.1 | 39 | 1 3 0 |
| 34.0 | 55 | 2 4 0 |
| 35.2 | 100 | 2 0 1 |
| 41.5 | 19 | 0 4 1 |
| 43.7 | 25 | 3 2 1 |
| 46.7 | 24 | 3 3 1 |
| 57.1 | 32 | 4 4 1 |
| 58.8 | 18 | 5 2 1 |
| 60.7 | 20 | 1 7 1 |

* * * * *

Calculated powder X-ray diffraction pattern
Compound: KLiW6O18
Radiation: copper Kα
Structure: a DFT-relaxed cell (GGA+U, Alexandria)
Intensities are scaled so that the largest is 1000.

Most intense lines, 2θ = 15–90°, in order of falling intensity:
2θ (°), I/Imax
27.29, 1000
22.89, 541
35.89, 511
26.69, 221
54.97, 214
48.29, 167
53.98, 167
23.58, 149
33.09, 126
61.51, 118

Atomic structure:
```
26
Lattice="6.5218 -3.7817 0.0000 6.5218 3.7817 0.0000 -0.0214 0.0000 7.7699" Properties=species:S:1:pos:R:3 pbc="T T T"
K 0.0000 0.0000 0.0000
Li 4.1878 0.0000 3.1391
W 6.4930 0.0000 5.0611
W 6.5127 0.0000 1.1496
W 9.7402 1.8697 5.0622
W 9.7616 1.8719 1.1443
W 9.7402 -1.8697 5.0622
W 9.7616 -1.8719 1.1443
O 3.4275 1.8556 3.1062
O 5.0995 1.3748 0.9912
O 5.0892 1.3573 5.2017
O 2.7802 0.0000 1.2166
O 2.7896 0.0000 4.9673
O 7.9139 1.3767 1.3019
O 7.8909 1.3547 4.8777
O 6.1958 0.0000 3.1408
O 9.5686 1.8934 6.9742
O 3.4275 -1.8556 3.1062
O 6.7114 0.0000 6.9391
O 5.0892 -1.3573 5.2017
O 5.0995 -1.3748 0.9912
O 7.8909 -1.3547 4.8777
O 10.2402 0.0000 5.0996
O 7.9139 -1.3767 1.3019
O 10.2825 0.0000 1.0953
O 9.5686 -1.8934 6.9742
```

* * * * *

Theoretical powder XRD pattern of Li2Si2O5 for Cu Kα, from a DFT-relaxed cell (GGA-PBE, Alexandria).
Neutral-atom scattering factors, no anomalous dispersion.

Cell and atoms:
```
data_Li2Si2O5
_chemical_formula_sum 'Li8 Si8 O20'
_symmetry_space_group_name_H-M 'P b c n'
_symmetry_Int_Tables_number 60
_symmetry_space_group_name_Hall '-P 2n 2ab'
_cell_length_a 5.7596
_cell_length_b 4.8571
_cell_length_c 14.8236
_cell_angle_alpha 90.00
_cell_angle_beta 90.00
_cell_angle_gamma 90.00
loop_
_atom_site_label
_atom_site_type_symbol
_atom_site_fract_x
_atom_site_fract_y
_atom_site_fract_z
Li1 Li 0.0975 0.1956 0.0515
Si1 Si 0.0943 0.3033 0.8515
└──
In this video, publicist Ljubomir Kljakic mentions the name of Radivoje Pesic and his systematization of the so-called “Vinca script”, while in the background a book is shown with the text of the title “Primo alfabeto dell’uomo” – “The first letter of man”. On the next, overturned page, Pesic’s interpretation of the signs of the “Vinca script” is shown, which is a photo that the media used to illustrate the “Serbian gospel” from Ireland. A clearer description of the “serbica of Vinca” can be found in Jovan Deretic’s book “Ancient Serbia”, where there is also no mention of any gospel.

Right: Table with the so-called “Vinca script”
Is there any truth in the theory about the “Vinca script”?
Of course not. From a scientific point of view, ideas about Serbian, that is, the “Vinca script” as “the oldest written script in the world, from which all the literacies of Europe arose” (Deretic), can be considered charlatan. Aleksandar Palavestra from the Department of Archeology of the Faculty of Philosophy in Belgrade dealt with this question in the paper “Inventing tradition: ‘Vinca script’”. He disputes Pesic’s statements and his systematization, that is, the attempt to prove that Serbian is the “oldest script of man”.
# Unrelated to this piece: calculated crystals
Theoretical powder diffraction line list
Compound: NaSrCoBiO6
Radiation: Cu Kα (weighted mean of Kα1 and Kα2)
Structure: the PBE+U geometry in the Materials Project

Structure:
```
NaSrCoBiO6
1.0
0.000 4.073 4.073
4.073 0.000 4.073
4.073 4.073 0.000
Na Sr Co Bi O
1 1 1 1 6
Direct
0.000 0.000 0.000 Na
0.500 0.500 0.500 Sr
0.750 0.750 0.750 Co
0.250 0.250 0.250 Bi
0.512 0.512 0.988 O
0.512 0.988 0.512 O
0.512 0.988 0.988 O
0.988 0.512 0.512 O
0.988 0.512 0.988 O
0.988 0.988 0.512 O
```

Largest 10 diffraction maxima, in order of rising 2θ, 5° ≤ 2θ ≤ 70°:
- 18.9 deg, I 40
- 21.8 deg, I 36
- 31.1 deg, I 100
- 36.6 deg, I 27
- 44.5 deg, I 34
- 48.7 deg, I 14
- 50.1 deg, I 15
- 55.2 deg, I 40
- 64.7 deg, I 21
- 68.1 deg, I 9

* * * * *

# Ge7Os3
Simulated X-ray diffraction stick pattern, Cu Kα, 1.54184 Å. Input: DFT lattice parameters and positions (GGA-PBE).
Intensities are scaled so that the largest is 100.

Structural model:
```
data_Ge7Os3
_symmetry_space_group_name_H-M 'I m -3 m'
_symmetry_Int_Tables_number 229
_symmetry_space_group_name_Hall '-I 4 2 3'
_cell_length_a 8.797
_cell_length_b 8.797
_cell_length_c 8.797
_cell_angle_alpha 90.00
_cell_angle_beta 90.00
_cell_angle_gamma 90.00
loop_
_atom_site_label
_atom_site_fract_x
_atom_site_fract_y
_atom_site_fract_z
_atom_site_occupancy
Ge1 0.000 0.250 0.500 1
Ge2 0.160 0.160 0.160 1
Os1 0.000 0.000 0.341 1
```

Top 10 peaks for 5 to 70 degrees two-theta, in order of rising 2θ:
- 2θ = 20.19°, I = 21, (2 0 0)
- 2θ = 24.79°, I = 50, (2 1 1)
- 2θ = 35.34°, I = 28, (2 2 2)
- 2θ = 38.28°, I = 13, (3 2 1)
- 2θ = 43.65°, I = 100, (3 3 0)
- 2θ = 48.54°, I = 8, (3 3 2)
- 2θ = 50.85°, I = 19, (4 2 2)
- 2θ = 57.37°, I = 6, (5 2 1)
- 2θ = 63.44°, I = 20, (6 0 0)
- 2θ = 69.21°, I = 15, (5 4 1)


# Ge3Os2
Simulated X-ray diffraction stick pattern, Cu Kα, 1.54184 Å. Input: DFT lattice parameters and positions (GGA-PBE).
Intensities are scaled so that the largest is 100.

Structural model:
```
data_Ge3Os2
_symmetry_space_group_name_H-M 'P -4 c 2'
_symmetry_Int_Tables_number 116
_cell_length_a 5.820
_cell_length_b 5.820
_cell_length_c 9.362
_cell_angle_alpha 90.00
_cell_angle_beta 90.00
_cell_angle_gamma 90.00
loop_
_symmetry_equiv_pos_as_xyz
'x,y,z'
'y,-x,-z'
'-x,-y,z'
'-y,x,-z'
'-x,y,z+1/2'
'-y,-x,-z+1/2'
'x,-y,z+1/2'
'y,x,-z+1/2'
loop_
_atom_site_label
_atom_site_fract_x
_atom_site_fract_y
“Someone has to say that all this, starting with the ‘genius Pesic’s discovery’, is just one of the emperor’s new suits. Based on the records so far, it can be concluded that there is no Vinca script. Not even a protoscript! After the exhibition in Novi Sad (and the published catalogue), I would say that mostly, apart from sporadically, there are no signs. The ‘Vinca script’ is just one link in a chain of different invented traditions, which flourish always in the circumstances of a shaken identity of a community, as a surrogate of legitimacy and cement of national and social cohesion”, states Palavestra in his work.
Interestingly, two of our other Cyrillic Gospels are preserved in Dublin – the Serbian Fourteenth Gospel (from the end of the 13th / beginning of the 14th century) and the Gospel of Nicholas (from the end of the 14th and the beginning of the 15th century), in the library of Chester Beatty.